_Activity_
What is needed: search the entries below for the word "distorted" and reproduce each line that has it.

_Given_
- - -
Entry from the Open Molecules 2025 dataset: a structure of composition C14H36N3O13Sr2 at a distorted geometry (ωB97M-V/def2-TZVPD).

**E_HOMO**: -15.0164 eV
**Total energy**: -1757.58850 hartree
**Molecular weight**: 629.7 g/mol
**LUMO**: -10.0 eV
**Charge**: +3
**Frontier orbital gap**: 5.0 eV
**Max |F|**: 0.0409 Eh/bohr

XYZ file:
```
68
C14H36N3O13Sr2 ωB97M-V/def2-TZVPD
Sr -1.11 34.58 -0.60
Sr -5.69 34.12 3.17
N -2.63 36.17 2.47
O -1.77 35.87 1.59
O -2.76 37.32 2.78
O -3.36 35.29 3.04
C -3.45 38.27 -0.10
N -3.73 39.38 -1.06
O -2.98 39.48 -2.01
O -4.52 40.23 -0.72
H -4.36 38.07 0.45
H -2.58 38.61 0.46
H -3.18 37.44 -0.75
C -3.11 40.34 3.89
N -1.85 39.72 4.38
O -1.92 39.10 5.42
O -0.84 39.95 3.76
H -3.21 40.01 2.86
H -3.00 41.42 3.92
H -3.96 39.98 4.46
C -8.85 35.42 1.95
O -7.58 35.72 2.58
C -7.64 36.98 3.25
C -6.38 37.28 4.04
O -5.91 36.11 4.70
C -4.94 36.38 5.74
H -9.65 35.32 2.69
H -8.79 34.47 1.42
H -9.10 36.26 1.31
H -8.43 36.87 4.01
H -7.95 37.83 2.65
H -6.58 38.11 4.72
H -5.58 37.65 3.37
H -4.86 35.54 6.43
H -5.25 37.26 6.30
H -3.98 36.63 5.30
C 0.37 37.77 0.32
O -0.55 37.06 -0.51
C -0.45 37.32 -1.91
C 0.81 36.74 -2.48
O 0.87 35.41 -1.94
C 2.18 34.80 -2.12
H 0.03 37.66 1.35
H 0.39 38.85 0.15
H 1.40 37.41 0.22
H -0.61 38.37 -2.17
H -1.37 36.82 -2.25
H 1.69 37.37 -2.34
H 0.72 36.67 -3.57
H 2.18 33.82 -1.65
H 2.93 35.45 -1.68
H 2.38 34.79 -3.19
C 0.53 36.99 4.12
O 0.80 35.70 4.66
C 2.17 35.59 5.00
C 2.56 34.21 5.45
O 2.22 33.34 4.37
C 2.60 32.01 4.59
H -0.53 37.02 3.89
H 1.17 37.07 3.24
H 0.78 37.76 4.85
H 2.26 36.27 5.85
H 2.85 36.02 4.25
H 1.96 33.93 6.33
H 3.63 34.15 5.63
H 2.09 31.52 5.43
H 3.68 31.96 4.83
H 2.57 31.41 3.68
```

* * * * *

No. 1
- - -

_Completed_
Entry from the Open Molecules 2025 dataset: a structure of composition C14H36N3O13Sr2 at a distorted geometry (ωB97M-V/def2-TZVPD).